Multifaceted dads Fathers have evolving roles in society. Gone are the days when they were solely seen as providers and disciplinarians. Today, they are increasingly recognized as nurturing caregivers, emotional support providers, and active participants in children's lives. From changing diapers to attending school events, modern Filipino dads are embracing a more hands-on approach to parenting, breaking away from traditional gender norms and fostering deeper connections with their families. PHOTOGRAPHS BY KING RODRIGUEZ, YUMMIE DINGDING AND JOHN LOUIE ABRINA FOR THE DAILY TRIBUNE @tribunephl_Joey

Honoring thy father

Manny Angeles

Father’s Day, celebrated yesterday, 16 June, holds a unique place in the hearts of many Filipinos, despite the complexities of modern family dynamics.

-- Crystal structures, as found in the file --
+++
Simulated powder diffractogram
Compound: Cs2U2FeS6
Radiation: Cu Kα, 1.54184 Å
Structure: the PBE geometry in Alexandria

The 10 most intense peaks (2θ = 5–70°), by angle:
- (0 0 1), 2θ = 10.62°, I = 86
- (1 1 -1), 2θ = 17.06°, I = 34
- (0 0 2), 2θ = 21.31°, I = 87
- (2 0 0), 2θ = 28.07°, I = 25
- (1 3 -1), 2θ = 28.35°, I = 51
- (2 0 -2), 2θ = 30.46°, I = 51
- (1 3 1), 2θ = 31.13°, I = 100
- (1 3 -3), 2θ = 39.91°, I = 39
- (1 3 3), 2θ = 45.98°, I = 24
- (3 3 -1), 2θ = 48.02°, I = 30

Structure:
```
data_Cs2U2FeS6
_chemical_formula_sum 'Cs4 U4 Fe2 S12'
_cell_length_a 6.5992
_cell_length_b 11.1891
_cell_length_c 8.6459
_cell_angle_alpha 90.00
_cell_angle_beta 105.54
_cell_angle_gamma 90.00
_symmetry_space_group_name_H-M 'C 1 2/m 1'
_symmetry_Int_Tables_number 12
_symmetry_space_group_name_Hall '-C 2y'
loop_
_atom_site_label
_atom_site_type_symbol
_atom_site_fract_x
_atom_site_fract_y
_atom_site_fract_z
Cs1 Cs 0.0000 0.1712 0.0000
U1 U 0.0000 0.3318 0.5000
Fe1 Fe 0.0000 0.0000 0.5000
S1 S 0.2143 0.1499 0.6730
S2 S 0.2385 0.0000 0.3307
```

* * * * *

The following is a simulated powder XRD pattern of CaSm2RhO5. It was derived from a structure optimized by DFT (PBE), using Cu Kα (λ = 1.5418 Å).
Intensities are scaled so that the largest is 100.

Peak list (8 most intense, 2θ = 10–90°, sorted by position)
2θ (°), intensity
15.23, 41
18.90, 36
30.09, 33
30.74, 45
31.02, 100
33.89, 84
43.56, 62
45.95, 36

Unit cell a=6.640 b=6.640 c=5.816 alpha=90.00 beta=90.00 gamma=90.00
Fractional positions:
Ca 0.000 0.000 0.000
Ca 0.500 0.500 0.000
Sm 0.173 0.327 0.500
Sm 0.327 0.827 0.500
Sm 0.673 0.173 0.500
Sm 0.827 0.673 0.500
Rh 0.000 0.500 0.000
Rh 0.500 0.000 0.000
O 0.000 0.000 0.500
O 0.145 0.645 0.248
O 0.145 0.645 0.752
O 0.355 0.145 0.248
O 0.355 0.145 0.752
O 0.500 0.500 0.500
O 0.645 0.855 0.248
O 0.645 0.855 0.752
O 0.855 0.355 0.248
O 0.855 0.355 0.752


The following is a simulated powder XRD pattern of Sm2Ga3Cu4Au. It was derived from a structure optimized by DFT (PBE), using Cu Kα (λ = 1.5418 Å).
Intensities are scaled so that the largest is 100.

Peak list (8 most intense, 2θ = 10–90°, sorted by position)
2θ (°), intensity
33.16, 54
35.17, 100
44.23, 46
47.63, 23
56.38, 28
64.33, 14
67.02, 16
75.49, 21

Unit cell a=4.096 b=4.096 c=10.789 alpha=90.00 beta=90.00 gamma=90.00
Fractional positions:
Sm 0.000 0.500 0.245
Sm 0.500 0.000 0.755
Ga 0.000 0.500 0.873
Ga 0.500 0.000 0.127
Ga 0.500 0.500 0.500
Cu 0.000 0.000 0.000
Cu 0.000 0.500 0.649
Cu 0.500 0.000 0.351
Cu 0.500 0.500 0.000
Au 0.000 0.000 0.500


The following is a simulated powder XRD pattern of AcSmMg17. It was derived from a structure optimized by DFT (PBE), using Cu Kα (λ = 1.5418 Å).
Intensities are scaled so that the largest is 100.

Peak list (8 most intense, 2θ = 10–90°, sorted by position)
2θ (°), intensity
11.43, 38
15.22, 32
17.12, 62
24.49, 97
29.88, 53
34.64, 54
34.77, 100
49.90, 33

Unit cell a=7.862 b=7.862 c=7.862 alpha=82.41 beta=82.41 gamma=82.41
Fractional positions:
+++

The observance of this day is highly relevant, even amidst the prevalence of broken families and the strong push for a divorce law in the Philippines. It serves as a reminder of the evolving roles and significance of fatherhood in Filipino society.

Father’s Day in the Philippines is traditionally a time for honoring fathers and celebrating their contributions to the family. In a country where family ties are deeply valued, this day provides an opportunity to express gratitude and appreciation for fathers’ hard work, sacrifices, and love. Regardless of marital status or family structure, many Filipinos seize this occasion to acknowledge the irreplaceable role fathers play.

Amid the growing number of broken families, Father’s Day can take on additional layers of meaning. It becomes not just a celebration of fathers within traditional nuclear families but also an inclusive recognition of all forms of fatherhood. This includes single fathers, stepfathers, and father figures who step up in the absence of biological fathers. Celebrating Father’s Day in such contexts highlights the resilience and adaptability of familial love and support.

Moreover, the ongoing debate about the divorce law in the Philippines underscores the importance of days like Father’s Day. The push for divorce legislation reflects the reality that not all marriages are sustainable or healthy. In these discussions, Father’s Day can serve as a poignant reminder that, regardless of the legal status of a marriage, the bond between a father and his children remains crucial. It emphasizes that good fatherhood is not contingent on the success of a marriage but on the commitment and love a father shows his children.

Father’s Day also provides a platform for addressing the challenges faced by fathers in broken families. It brings to light issues such as the need for legal reforms to ensure fathers’ rights and responsibilities are protected, especially in cases of separation or divorce. By focusing on the positive aspects of fatherhood, society can be reminded of the importance of supporting fathers in all family situations, ensuring they can maintain strong, loving relationships with their children.

In all, the observance of Father’s Day in the Philippines is highly relevant, serving as a beacon of appreciation and recognition amidst the complexities of modern family life. It is a day that transcends traditional family structures, celebrating the enduring bond between fathers and their children. As the country navigates the challenges of broken families and debates the merits of a divorce law, Father’s Day stands as a testament to the vital role of fathers and the importance of nurturing these relationships, no matter the circumstances